We tend to think that everything involving Joseph in the infancy of Jesus happened all at once, but that isn’t the case. Even the Scriptures let us know that the events surrounding the beginning of Jesus’ life are spread over several years.
Let’s look at what events we know that Joseph would have been involved in, and how they might line up.
- Joseph and Mary become betrothed while they are both living in Nazareth. Presumably, they get married there and set up a household.
- Just before the birth of Jesus, they travel to Bethlehem.
(Molecular data from another source follow)
********
Record 1
Molecular formula: C18H42CuIN6O6
Method: DFT, ωB97M-V/def2-TZVPD

Each line ends with the Löwdin charge.
Geometry (Å):
C -13.255 -14.972 6.336  -0.0360
H -17.248 -10.469 2.813  0.0985
H -16.769 -6.673 -1.667  0.0823
N -18.123 -17.034 -1.521  -0.1820
O -16.724 -15.230 -1.893  -0.0956
H -13.412 -15.996 6.721  0.0911
H -16.387 -17.886 -2.304  0.0903
H -18.382 -7.863 -4.788  0.0954
N -17.127 -8.060 -3.136  -0.1946
C -19.463 -17.563 -1.183  -0.0484
C -13.225 -11.291 -2.697  -0.0034
H -15.150 -7.635 -2.556  0.1432
H -11.028 -12.794 -4.385  0.0844
O -15.289 -8.976 -4.079  -0.0250
H -16.685 -9.385 0.618  0.0851
C -12.496 -14.119 4.214  -0.3835
C -18.099 -8.628 -4.066  -0.0129
H -14.258 -11.472 -2.246  0.0818
H -10.903 -16.393 5.622  0.0890
H -19.637 -18.419 -1.879  0.0965
N -12.261 -14.961 5.247  -0.1927
N -15.734 -11.040 1.512  -0.1534
C -17.056 -18.035 -1.464  -0.0230
H -17.663 -9.517 -4.532  0.0719
H -13.272 -14.387 -4.133  0.1640
H -19.590 -17.884 -0.108  0.1101
H -19.015 -8.860 -3.478  0.1063
H -16.877 -10.994 -7.331  0.1001
H -15.676 -10.322 -6.229  0.0671
C -11.931 -12.309 -4.687  0.0010
C -16.898 -13.474 -6.135  -0.0376
H -15.736 -10.346 -0.452  0.0679
O -14.242 -13.816 -2.402  -0.0503
H -14.210 -14.728 5.905  0.0731
C -16.243 -11.876 -4.435  -0.3193
O -15.200 -12.426 -0.161  -0.1371
H -15.661 -10.003 3.327  0.0955
H -15.189 -11.555 -7.427  0.0870
H -11.794 -11.245 -4.858  0.0885
O -16.603 -12.630 -3.565  -0.0510
N -16.352 -12.214 -5.725  -0.1549
C -15.967 -11.218 -6.755  -0.0125
C -15.768 -8.208 -3.277  -0.3005
C -15.471 -12.221 1.026  -0.3292
H -17.985 -13.580 -6.122  0.1025
H -15.666 -10.955 -4.285  0.1068
H -18.241 -7.663 -1.324  0.0894
C -17.893 -15.692 -1.696  -0.2657
C -13.479 -13.607 -3.359  -0.3020
H -16.466 -17.776 -0.596  0.0926
H -16.461 -14.315 -5.592  0.0969
H -10.133 -14.976 4.780  0.0924
H -13.174 -10.408 -3.321  0.0785
H -11.620 -13.930 3.530  0.1404
N -12.927 -12.440 -3.576  -0.1482
H -12.878 -14.364 7.192  0.1037
I -18.598 -12.491 -0.596  0.3007
C -15.749 -9.942 0.554  -0.0299
H -15.033 -9.158 0.836  0.1064
Cu -16.209 -13.282 -1.598  0.3169
H -18.764 -15.079 -1.534  0.0235
C -10.853 -15.307 5.545  -0.0358
H -10.686 -14.879 6.509  0.0714
H -17.560 -19.024 -1.384  0.1024
H -18.282 -6.410 -2.568  0.1087
H -12.615 -11.271 -1.811  0.0944
H -16.147 -11.721 3.422  0.0993
H -12.362 -12.727 -5.593  0.0874
C -17.621 -7.201 -2.103  -0.0808
H -16.600 -13.627 -7.152  0.0812
H -15.417 -12.988 1.811  0.1553
C -16.210 -10.799 2.844  -0.0212
H -20.230 -16.789 -1.458  0.1007
O -13.553 -13.653 3.911  0.0048

HOMO level (spin up / spin down) = -10.800 / -10.710 eV
<S²> = 0.756
HOMO-LUMO gap (spin up / spin down) = 9.371 / 6.989 eV
multiplicity = 2
charge = +1
energy above the lowest of the compared OMol25 structures with the same formula, charge and spin = 367.3 kJ/mol
calculated total energy = -93308.7825 eV

=====

Record 2
Molecular formula: C7H11N2
Method: DFT, ωB97M-V/def2-TZVPD

Each line ends with the Löwdin charge.
Geometry (Å):
********
(Back to the entry)
- Jesus is born in Bethlehem.
- Shepherds visit the family the night after the birth.
- Eight days after his birth, Jesus is circumcised. The Holy Family apparently goes back to Nazareth either before or just after this.
- At the “time of purification” (forty days after the birth of a male child), the Holy Family travels to Jerusalem for Mary’s purification and, while they are there, to present Jesus as well.
- The Holy Family returns to Nazareth.
- The Magi visit Mary and Jesus.
- Herod orders the killing of all baby boys in the vicinity of Bethlehem after he meets with the Magi.
- The Holy Family flees to Egypt, where they live for an indefinite time—at least several months, perhaps several years.
- Joseph is told by an angel to go back to the “land of Israel,” but he returns to Nazareth, instead, where he presumably lives the rest of his life.
When the events are laid out, it becomes clear that our Nativity scene with shepherds and Magi all converging on the humble stable at once is lovely, but a little inaccurate. It also becomes apparent that Mary and Joseph did quite a bit of traveling around the countryside before they fled to Egypt. Moreover, the family didn’t trek through the desert with a newborn. (Probably they had a toddler, which would have been more difficult!)
Surprised? Many people are because we tend to combine all the events as if Jesus were born, the shepherds and Magi arrive, Herod orders babies to be killed, and the Holy Family goes to Egypt all in the space of a few weeks at most. That’s more than likely not how it happened, and in the following entries, we will be looking at some of these events and reflecting on the role Saint Joseph played in each.
As we look at them, one thing we must never forget is that however much Joseph appears to be in the background, without his strong and faithful care for Mary and Jesus, the entire story of salvation would be vastly different indeed.
-- Next to the text, the page also holds molecular data --
- - -
(1)
Formula: C24H34Br2O2
Source: the Open Molecules 2025 dataset
Level of theory: ωB97M-V/def2-TZVPD

Values from the calculation:
- Lowest unoccupied orbital energy: 0.485 eV
- Multiplicity: 1
- Calculated total energy: -6233.30451 Eh
- Orbital gap: 0.353 hartree
- HOMO level: -9.1 eV

Cartesian coordinates (Å):
C1 23.39 -2.76 6.08
C2 24.54 -3.34 6.56
C3 25.51 -2.50 7.13
C4 25.32 -1.11 7.22
C5 24.17 -0.53 6.71
C6 23.21 -1.43 6.17
H1 22.54 -3.40 5.90
H2 24.72 -4.41 6.56
H3 26.38 -2.91 7.62
H4 26.01 -0.47 7.74
H5 23.92 0.52 6.62
H6 22.23 -1.05 5.93
C7 16.03 -1.49 2.20
C8 15.74 -0.76 1.02
C9 16.10 0.59 0.92
C10 16.50 1.28 2.07
C11 16.64 0.63 3.29
C12 16.48 -0.78 3.33
H7 15.85 -2.55 2.07
H8 15.37 -1.18 0.10
H9 16.06 1.10 -0.03
H10 16.84 2.30 1.97
H11 16.97 1.07 4.22
H12 16.72 -1.30 4.24
C13 22.02 3.68 5.54
C14 22.30 2.37 5.18
C15 21.30 1.43 4.96
C16 20.04 1.90 5.03
C17 19.78 3.20 5.34
C18 20.75 4.16 5.56
H13 22.80 4.42 5.65
H14 23.32 2.06 5.00
H15 21.63 0.47 4.58
H16 19.20 1.23 4.86
H17 18.74 3.37 5.58
H18 20.53 5.19 5.79
Br1 19.78 6.38 10.88
C19 20.71 5.43 9.39
C20 22.20 5.31 9.79
Br2 23.25 6.86 8.99
H19 20.60 5.98 8.45
H20 20.26 4.44 9.33
H21 22.73 4.42 9.48
H22 22.31 5.43 10.87
C21 20.66 5.55 1.77
C22 19.51 6.26 2.54
O1 19.22 7.47 2.00
H23 21.55 6.18 1.92
H24 20.61 5.51 0.69
H25 20.82 4.63 2.33
H26 19.55 6.31 3.63
H27 18.59 5.69 2.40
H28 18.72 7.34 1.19
C23 22.02 -1.42 1.42
C24 23.28 -1.77 2.23
O2 23.75 -0.65 2.96
H29 22.24 -0.71 0.62
H30 21.25 -1.00 2.07
H31 21.55 -2.32 1.01
H32 24.03 -2.04 1.48
H33 23.08 -2.72 2.73
H34 23.74 0.09 2.35



(2)
Formula: C24H34Cl12N2O4
Source: the Open Molecules 2025 dataset
Level of theory: ωB97M-V/def2-TZVPD

Values from the calculation:
- Lowest unoccupied orbital energy: -0.882 eV
- Multiplicity: 1
- Calculated total energy: -6867.38805 Eh
- Orbital gap: 0.315 hartree
- HOMO level: -9.4 eV
- Relative energy (zero: lowest compared OMol25 entry of this formula, charge and spin): 228.7 kJ/mol

Cartesian coordinates (Å):
Cl1 0.95 4.73 0.92
C1 1.33 4.97 -0.85
C2 1.63 6.43 -1.20
Cl2 2.86 7.09 -0.11
H1 0.45 4.62 -1.37
H2 2.18 4.32 -1.02
H3 0.73 7.03 -1.06
H4 1.94 6.45 -2.24
Cl3 -0.62 1.32 5.16
C3 0.59 0.03 4.96
C4 -0.06 -1.34 4.90
Cl4 -1.03 -1.41 3.40
H5 1.21 0.05 5.86
H6 1.11 0.22 4.02
H7 -0.75 -1.52 5.72
H8 0.65 -2.16 4.83
Cl5 -1.80 0.78 0.35
C5 -0.24 1.15 1.14
C6 0.92 0.61 0.35
Cl6 1.28 1.57 -1.12
H9 -0.25 0.74 2.15
H10 -0.14 2.22 1.32
H11 0.74 -0.41 0.03
H12 1.86 0.62 0.91
Cl7 -5.83 2.11 -2.65
C7 -6.56 1.00 -1.46
C8 -5.59 0.43 -0.46
Cl8 -5.03 -1.18 -1.12
H13 -7.18 0.29 -2.00
H14 -7.31 1.63 -0.97
H15 -6.02 0.21 0.51
H16 -4.71 1.05 -0.28
Cl9 -1.25 -3.92 -0.80
C9 -2.36 -2.98 0.26
C10 -3.69 -3.73 0.45
Cl10 -3.39 -5.35 1.15
H17 -2.51 -1.98 -0.13
H18 -1.84 -2.89 1.21
H19 -4.27 -3.84 -0.46
H20 -4.20 -3.17 1.23
Cl11 2.58 1.90 2.74
C11 4.26 1.64 2.21
C12 4.52 2.32 0.89
Cl12 3.70 1.40 -0.43
H21 4.41 0.56 2.13
H22 4.91 1.94 3.03
H23 5.57 2.36 0.60
H24 4.16 3.34 0.77
C13 -2.63 -0.19 -3.98
C14 -1.53 0.19 -3.23
- - -
“We wonder why the Gospel makes so little mention of Saint Joseph. But did it not say everything when it taught us that he was the husband of Mary?” –Blessed William Joseph Chaminade
Saint Joseph, as I look at your life, open my eyes and heart to who you really were and what you really did for Mary, your wife, and Jesus, your adopted son. Amen.
Image credit: Guy FLEURY/CIRIC